# Listing
'''
# 1
This record from the OMol25 dataset describes an isolated molecule of C5H8O2. The level of theory is ωB97M-V/def2-TZVPD.

Element x y z (Å)
C: 0.842 0.098 1.532
C: 1.123 -0.120 0.078
O: 2.440 0.128 -0.180
C: 0.266 -0.473 -0.886
C: -1.235 -0.612 -0.768
C: -1.818 0.735 -0.402
O: -2.425 1.455 -1.155
H: 1.603 -0.413 2.129
H: 0.919 1.167 1.757
H: -0.146 -0.259 1.833
H: 2.563 0.167 -1.138
H: 0.665 -0.575 -1.894
H: -1.605 1.052 0.642
H: -1.657 -0.926 -1.727
H: -1.531 -1.350 -0.012

Forces on the atoms, in the same order (eV/Å):
-0.02 -0.02 0.03
-0.35 -0.02 -0.02
0.09 0.01 -0.21
0.20 0.11 0.01
-0.11 -0.07 0.00
-0.13 0.15 -0.15
0.18 -0.29 0.25
-0.09 0.02 -0.07
-0.04 -0.14 0.01
0.15 0.02 -0.10
0.08 -0.07 0.15
-0.03 0.05 0.09
-0.07 0.09 -0.14
0.07 0.06 0.17
0.08 0.09 -0.01

As for the charge: 0. The calculation puts the energy relative to the best compared isomer or geometry (same formula, charge and spin) at 25.9 kcal per mole. As for the structure (SMILES): C/C(O)=C\CC=O. As for the HOMO-LUMO gap: 9.6 eV.

---

# 2
This record from the OMol25 dataset describes a structure of composition C3H4N2S2 at a distorted geometry. The level of theory is ωB97M-V/def2-TZVPD.

Element x y z (Å)
C: -0.652 0.240 1.342
C: -0.728 0.271 0.020
C: 1.140 -1.245 -1.314
N: -0.787 1.366 2.083
N: -0.977 2.425 1.472
S: -1.072 2.505 -0.120
S: -0.668 -0.881 -1.245
H: -0.437 -0.569 1.884
H: 1.223 -2.253 -1.784
H: 1.377 -1.191 -0.219
H: 1.581 -0.667 -2.119

Forces on the atoms, in the same order (eV/Å):
-0.38 1.91 -2.76
-0.57 2.69 -0.97
-1.21 -1.02 -0.03
0.26 0.28 1.96
-0.50 2.01 0.46
0.64 -3.83 -0.67
-0.02 0.06 -0.19
0.57 -3.29 1.87
-0.21 0.26 1.07
0.90 0.00 -1.58
0.52 0.93 0.85

As for the charge: 0. The calculation puts the energy relative to the best compared isomer or geometry (same formula, charge and spin) at 87.5 kcal per mole. As for the HOMO-LUMO gap: 8.5 eV.

---

# 3
This record from the OMol25 dataset describes a cluster of 8 separate species, C41H64N2O23 in total at a distorted geometry. The level of theory is ωB97M-V/def2-TZVPD.

Element x y z (Å)
C: -3.640 -5.109 3.601
C: -3.833 -3.683 3.073
O: -2.647 -2.949 3.316
C: -2.421 -1.933 2.346
C: -1.846 -2.504 1.056
O: -0.447 -2.279 0.977
C: 0.065 -2.861 -0.236
C: 0.393 -4.359 0.069
C: 1.872 -4.505 -0.052
N: 2.997 -4.684 -0.161
C: -0.226 -5.408 -0.911
C: 0.139 -6.748 -0.390
N: 0.222 -7.749 0.160
C: -1.745 -5.267 -1.200
C: -1.989 -5.551 -2.713
C: -2.631 -6.207 -0.353
C: -4.111 -6.157 -0.805
H: -4.316 -5.790 3.073
H: -2.629 -5.467 3.391
H: -3.850 -5.178 4.669
H: -4.710 -3.204 3.527
H: -4.057 -3.767 1.998
H: -1.803 -1.137 2.764
H: -3.395 -1.477 2.110
H: -2.028 -3.593 1.060
H: -2.344 -2.130 0.148
H: -0.627 -2.716 -1.071
H: 0.980 -2.310 -0.458
H: 0.179 -4.632 1.103
H: 0.299 -5.293 -1.864
H: -2.115 -4.255 -1.030
H: -2.910 -5.029 -2.989
H: -1.210 -5.112 -3.345
H: -2.083 -6.620 -2.913
H: -2.610 -5.824 0.676
H: -2.321 -7.250 -0.409
H: -4.488 -5.137 -0.919
H: -4.750 -6.693 -0.098
H: -4.207 -6.690 -1.755
C: 3.400 2.333 -1.740
C: 2.031 2.234 -1.124
C: 1.879 1.122 -0.118
O: 0.480 0.803 -0.228
C: 0.089 1.144 -1.472
O: -0.963 0.834 -1.943
O: 1.033 1.873 -2.103
H: 4.158 2.426 -0.971
H: 3.616 1.457 -2.357
H: 3.463 3.203 -2.394
H: 1.741 3.195 -0.691
H: 2.124 1.431 0.895
H: 2.461 0.232 -0.372
C: -3.914 0.291 -5.839
C: -4.345 -0.171 -4.469
C: -3.223 -0.293 -3.468
O: -3.704 -1.331 -2.600
C: -4.550 -2.104 -3.320
O: -4.967 -3.156 -2.955
O: -4.847 -1.522 -4.506
H: -3.375 1.236 -5.781
H: -3.277 -0.453 -6.318
H: -4.781 0.428 -6.486
H: -5.144 0.470 -4.085
H: -3.046 0.619 -2.910
H: -2.283 -0.622 -3.916
C: 5.595 6.833 -1.674
C: 5.094 6.341 -0.342
C: 6.165 6.195 0.709
O: 5.644 5.142 1.532
C: 4.836 4.384 0.759
O: 4.394 3.326 1.085
O: 4.596 4.988 -0.433
H: 6.126 7.773 -1.556
H: 6.255 6.098 -2.140
H: 4.762 6.991 -2.361
H: 4.278 6.974 0.013
H: 6.309 7.100 1.294
H: 7.125 5.874 0.297
C: 0.900 -3.800 3.494
C: 1.216 -3.805 4.967
C: 0.118 -3.236 5.832
O: 0.853 -2.720 6.953
C: 2.106 -2.421 6.514
O: 2.904 -1.803 7.138
O: 2.312 -2.925 5.274
'''

# Brief
What is needed: copy only the lines earlier on with the word "Element" in them.

# Result
Element x y z (Å)
Element x y z (Å)
Element x y z (Å)